I hear ya but I think it becomes a slippery slope with media personalities start to tell other personalities who they can have in their shoe. Then you’re defending somebody who settled out of court for some heinous crimes.
In fact Coodece doubled down on all this recently at the Breakfast Club.
[Misplaced data records]
<<<
(1)
A plane-wave DFT calculation with PBE was carried out for an optimized crystal structure of TbPr8Tm2.

Cell: 17.053 6.848 6.718 Å, 90.00 100.01 90.00°
Space group C2/m (No. 12)
One atom of each set of equivalent atoms:
Tb1 0.000 0.000 0.000
Pr1 0.087 0.260 0.407
Pr2 0.097 0.500 0.918
Pr3 0.245 0.000 0.324
Tm1 0.195 0.000 0.810

- DFT formation energy: 0.17 eV/atom
- Total magnetic moment: 0.00 μB/cell
- ρ: 6.981 g cm⁻³
- E_tot: -4.54 eV per atom
- Relative energy among the computed polymorphs: 60 meV/atom
- DOS at the Fermi energy: 17.7 states/eV/f.u.

---

(2)
A plane-wave DFT calculation with PBE was carried out for an optimized crystal structure of ReAg3Br2F6.

Cell: 14.040 7.269 4.910 Å, 90.00 95.43 90.00°
Space group C2/m (No. 12)
One atom of each set of equivalent atoms:
Re1 0.000 0.000 0.000
Ag1 0.000 0.500 0.500
Ag2 0.250 0.250 0.000
Br1 0.184 0.500 0.659
F1 0.062 0.191 0.224
F2 0.110 0.000 0.792

- Total magnetic moment: 4.00 μB/cell
- ρ: 5.216 g cm⁻³
- E_tot: -4.32 eV per atom
- DOS at the Fermi energy: 11.0 states/eV/f.u.
>>>
This amongst a host of other things. When she claims that Black people are 13% of the population and responsible for over half of all crimes she talks about babies from 0 to the elderly and anyone in between, including you.
That’s the narrative she’s propagating about Black people, to her mostly white audience.
Report: Blacks Made up 61% of 2023 Exonerees | The Michigan Chronicle.
Michigan State University (data compiled by over 20 universities:
I. Murder
• Judging from exonerations, innocent black people are about seven times more likely to be convicted of murder than innocent white people. A major cause of the high number of black murder exonerations is the high homicide rate in the black community—a tragedy that kills many African Americans and sends many others to prison. Innocent defendants who are falsely convicted and exonerated do not contribute to this high homicide rate. They— like the families of victims who are killed—are deeply harmed by murders committed by others.
┌──
No. 1
Material: CaPbO2
Method: DFT, PBE
State: relaxed

Lattice parameters (Å, degrees): 3.5524 3.5524 6.2699 90.00 106.46 120.00
With the nearest neighbours (Å) after each atom.
Sites, in units of the cell vectors:
Ca  0.0000  0.0000  0.0000  6 O 2.43
Pb  0.0000  0.5000  0.5000  6 O 2.64
O  0.5200  0.2601  0.7801  3 Ca 2.43, 3 Pb 2.64
O  0.4800  0.7400  0.2200  3 Ca 2.43, 3 Pb 2.64

raw formation energy = -1.935 eV per atom

No. 2
Material: KAc2SeO6
Method: DFT, PBE
State: relaxed

Lattice parameters (Å, degrees): 5.9575 5.9575 5.9575 63.70 63.70 63.70
With the nearest neighbours (Å) after each atom.
Sites, in units of the cell vectors:
K  0.5000  0.5000  0.5000  6 O 2.60
Ac  0.2330  0.2330  0.2330  6 O 2.49-2.66
Ac  0.7671  0.7671  0.7671  6 O 2.49-2.66
Se  0.0001  0.0001  0.0001  6 O 1.97
O  0.3238  0.1028  0.8206  1 Se 1.97
O  0.1028  0.8206  0.3238  1 Se 1.97
O  0.8973  0.1795  0.6763  1 Se 1.97
O  0.6763  0.8973  0.1795  1 Se 1.97
O  0.8206  0.3238  0.1028  1 Se 1.97
O  0.1795  0.6763  0.8973  1 Se 1.97

raw formation energy = -2.081 eV per atom

No. 3
Material: TmZrCo
Method: DFT, PBE
State: relaxed

Lattice parameters (Å, degrees): 3.2735 3.2735 6.1545 105.42 105.42 90.00
With the nearest neighbours (Å) after each atom.
Sites, in units of the cell vectors:
Tm  0.0202  0.0202  0.0403  4 Co 2.93, 1 Zr 3.21, 4 Tm 3.27
Co  0.6781  0.6781  0.3562  4 Zr 2.71, 4 Tm 2.93
Zr  0.3017  0.3017  0.6034  4 Co 2.71

E_tot = -6.812 eV/atom


Entry 1:
The following is a DFT calculation (PBE) of a relaxed Sm5Zn2Cd2 crystal.

Cell lengths 7.5957, 7.4660, 9.6068 Å; angles 112.87, 90.00, 90.00 degrees
Last column: nearest neighbours and their distance in Å.
Fractional positions:
Sm: 0.0000 0.0000 0.0000  4 Zn 3.01-3.02
Sm: 0.5000 0.5000 0.0000  4 Zn 3.01-3.02
Sm: 0.8171 0.8194 0.2638  3 Zn 3.14-3.32, 3 Cd 3.19-3.25
Sm: 0.1829 0.4444 0.2638  3 Zn 3.14-3.32, 3 Cd 3.19-3.25
Sm: 0.3171 0.9444 0.2638  3 Zn 3.14-3.32, 3 Cd 3.19-3.25
Sm: 0.6829 0.3194 0.2638  3 Zn 3.14-3.32, 3 Cd 3.19-3.25
Sm: 0.1829 0.1806 0.7362  3 Zn 3.14-3.32, 3 Cd 3.19-3.25
Sm: 0.8171 0.5556 0.7362  3 Zn 3.14-3.32, 3 Cd 3.19-3.25
Sm: 0.6829 0.0556 0.7362  3 Zn 3.14-3.32, 3 Cd 3.19-3.25
Sm: 0.3171 0.6806 0.7362  3 Zn 3.14-3.32, 3 Cd 3.19-3.25
Zn: 0.6203 0.8849 0.0000  1 Zn 2.51
Zn: 0.3797 0.1151 0.0000  1 Zn 2.51
Zn: 0.1203 0.6151 0.0000  1 Zn 2.51
Zn: 0.8797 0.3849 0.0000  1 Zn 2.51
Cd: 0.0000 0.2266 0.4533  6 Sm 3.19-3.25
Cd: 0.5000 0.7266 0.4533  6 Sm 3.19-3.25
Cd: 0.0000 0.7734 0.5467  6 Sm 3.19-3.25
Cd: 0.5000 0.2734 0.5467  6 Sm 3.19-3.25

## Properties
calculated total energy: -3.313 eV per atom
energy relative to the elements: -0.205 eV per atom

---

Entry 2:
The following is a DFT calculation (PBE) of a relaxed SmZnCd4 crystal.

Cell lengths 5.0146, 7.1068, 9.1172 Å; angles 112.94, 106.07, 90.00 degrees
Last column: nearest neighbours and their distance in Å.
Fractional positions:
Sm: 0.2048 0.2047 0.4093  12 Cd 3.23-3.60
Sm: 0.7952 0.7953 0.5907  12 Cd 3.23-3.60
└──
== The article goes on ==
II. Sexual Assault
• Judging from exonerations, a black prisoner serving time for sexual assault is three- and-a-half times more likely to be innocent than a white sexual assault convict. The major cause for this huge racial disparity appears to be the high danger of mistaken eyewitness identification by white victims in violent crimes with black assailants.
III. Drug Crimes
**The text is interrupted by calculated crystals:**
____________
First-principles (PBE-GGA) data for a geometry-optimized Zr2AlSb structure, as listed in Alexandria.

```
Zr2AlSb
1.0
-2.353 -1.728 4.303
6.517 1.130 -0.170
0.782 2.621 1.846
Sb Zr Al
1 2 1
direct
0.500 0.000 0.500 Sb
0.000 0.500 0.500 Zr
0.000 0.000 0.000 Zr
0.500 0.500 0.000 Al
```

Computed properties:
Its space-group type is No. 12. Its crystal system is monoclinic. As for the calculated volume: 84.78 Å³ per cell. For the formation energy (no corrections), the calculation gives -411 meV per atom. The density of states at the Fermi level is 0.679 states/eV/atom.


1.
The following is a DFT calculation (GGA-PBE) of a relaxed structure of La2TiAl.

a b c (Å): 8.420 8.420 6.676
angles (deg): 50.90 50.90 90.00
Atoms (fractional coordinates):
Ti (0.000, 0.000, 0.000)
Ti (0.750, 0.250, 0.500)
La (0.630, 0.125, 0.250)
La (0.120, 0.625, 0.250)
La (0.875, 0.880, 0.750)
La (0.375, 0.370, 0.750)
Al (0.500, 0.500, 0.000)
Al (0.250, 0.750, 0.500)

***

2.
The following is a DFT calculation (GGA-PBE) of a relaxed structure of LaTi2Al2.

a b c (Å): 4.361 4.361 6.540
angles (deg): 70.52 70.52 90.00
Last column: magnetic moment on the atom in μB.
Atoms (fractional coordinates):
Ti (0.388, 0.388, 0.224)  0.40
Ti (0.612, 0.612, 0.776)  0.40
La (0.000, 0.000, 0.000)  0.03
Al (0.750, 0.250, 0.500)  -0.01
Al (0.250, 0.750, 0.500)  -0.01

The value obtained for the energy relative to the lowest polymorph listed for this composition is 259 meV per atom.

***

3.
The following is a DFT calculation (GGA-PBE) of a relaxed structure of LaAlTl.

a b c (Å): 4.636 4.636 4.469
angles (deg): 90.00 90.00 120.00
Atoms (fractional coordinates):
Al (0.000, 0.000, 0.872)
Tl (0.667, 0.333, 0.798)
La (0.333, 0.667, 0.330)

***

4.
The following is a DFT calculation (GGA-PBE) of a relaxed structure of La12Al3Tl.

a b c (Å): 5.000 5.000 19.963
angles (deg): 90.00 90.00 90.00
Atoms (fractional coordinates):
La (0.000, 0.500, 0.624)
La (0.500, 0.500, 0.253)
La (0.000, 0.500, 0.130)
La (0.500, 0.000, 0.130)
La (0.000, 0.500, 0.870)
La (0.500, 0.500, 0.500)
La (0.500, 0.000, 0.376)
La (0.500, 0.500, 0.000)
La (0.500, 0.500, 0.747)
La (0.000, 0.500, 0.376)
La (0.500, 0.000, 0.870)
La (0.500, 0.000, 0.624)
Al (0.000, 0.000, 0.252)
Al (0.000, 0.000, 0.500)
Al (0.000, 0.000, 0.748)
Tl (0.000, 0.000, 0.000)

***

Result set for E_tot: -5.011, -5.595, -4.025, -4.746 eV/atom, one per record in the order listed.


## PaNiSn2 (PBE)

Data for a geometry-optimized PaNiSn2 structure.

Computed properties:
The value obtained for the energy is -23.82 eV per cell. As for the crystal system: tetragonal. As for the space group: P4/mmm (123). The value obtained for the density of states at the Fermi level is 1.387 states/eV/atom.

Cell: 4.4735 4.4203 4.4203 Å, 90.00 90.00 90.00°
Closest atoms and distances in Å follow each position.
Sites, in units of the cell vectors:
Ni (0.5000, 0.5000, 0.5000)  4 Pa 3.13, 8 Sn 3.14
Pa (0.5000, 0.0000, 0.0000)  4 Ni 3.13, 8 Sn 3.14
____________
• The best national evidence on drug use shows that African Americans and whites use illegal drugs at about the same rate. Nonetheless, African Americans are about five times as likely to go to prison for drug possession as whites—and judging from exonerations, innocent black people are about 12 times more likely to be convicted of drug crimes than innocent white people.
“Since 1989, more than 1,800 defendants have been cleared in “group exonerations” that followed 15 large-scale police scandals in which officers systematically framed innocent defendants. The great majority were African-American defendants who were framed for drug crimes that never occurred. There are almost certainly many more such cases that remain hidden. pp. 21-25
"innocent black people are about 12 times more likely to be convicted of drug crimes than innocent white people. pp.16-17.
African Americans are more frequently stopped, searched, arrested, and convicted—including in cases in which they are innocent. The extreme form of this practice is systematic racial profiling in drug-law enforcement. pp. 20-21"
African-American prisoners who are convicted of murder are about 50% more likely to be innocent than other convicted murderers. Part of that disparity is tied to the race of the victim. African Americans imprisoned for murder are more likely to be innocent if they were convicted of killing white victims. Only about 15% of murders by African Americans have white victims, but 31% of innocent African-American murder exonerates were convicted of killing white people."
(Michigan State University, 2023)